Audit commissioned into death of Noel Chambers who spent 40 years in prison without trial
Article By: JIS
- Jun 17, 2020 08:22 PM | News
- - -
# BeReW2

BeReW2 at its PBEsol-relaxed geometry (SCAN, Alexandria).

Values from the calculation:
mass density	16.48	g cm⁻³
E_tot	-427.5	eV per cell

Cell: 5.326 7.721 2.758 Å, 90.00 90.00 90.00°
Space group Cmmm (No. 65)
Asymmetric unit:
Be (0.000, 0.000, 0.000) [2 per cell]
Re (0.000, 0.500, 0.000) [2 per cell]
W (0.250, 0.250, 0.500) [4 per cell]

=====

A) First-principles (PBE-GGA) data for a relaxed SnTeSe crystal, as listed in Alexandria.

Cell lengths 15.345, 3.963, 6.993 Å; angles 90.00, 116.56, 90.00 degrees
Space group C2/m (No. 12)
One atom of each set of equivalent atoms:
1 Sn 0.247 0.000 0.239 (multiplicity 4)
2 Te 0.118 0.000 0.452 (multiplicity 4)
3 Se 0.134 0.500 0.962 (multiplicity 4)

Results
DOS at the Fermi energy (states/eV per cell): 2.80



B) First-principles (PBE-GGA) data for a relaxed SnTeSe crystal, as listed in Alexandria.

Cell lengths 16.683, 4.111, 6.076 Å; angles 90.00, 90.00, 90.00 degrees
Space group Pnma (No. 62)
One atom of each set of equivalent atoms:
1 Sn 0.189 0.250 0.120 (multiplicity 4)
2 Te 0.042 0.750 0.124 (multiplicity 4)
3 Se 0.200 0.250 0.664 (multiplicity 4)

Results
DOS at the Fermi energy (states/eV per cell): 0.88



B) takes first place; second place is 1.8 kJ/mol of atoms up.



A) First-principles (PBE-GGA) data for a relaxed Th2SnSe crystal, as listed in Alexandria.

Cell lengths 4.2279, 4.2279, 23.4463 Å; angles 90.00, 90.00, 120.00 degrees
Space group R3m (No. 160, hexagonal axes)
One atom of each set of equivalent atoms:
1 Th 0.0000 0.0000 0.0000 (multiplicity 3)
2 Th 0.0000 0.0000 0.1680 (multiplicity 3)
3 Sn 0.0000 0.0000 0.5833 (multiplicity 3)
4 Se 0.0000 0.0000 0.7518 (multiplicity 3)

Results
DOS at the Fermi energy (states/eV per cell): 7.79



B) First-principles (PBE-GGA) data for a relaxed Th2SnSe crystal, as listed in Alexandria.

Cell lengths 3.623, 3.623, 8.103 Å; angles 90.00, 90.00, 90.00 degrees
Space group P4/mmm (No. 123)
One atom of each set of equivalent atoms:
1 Th 0.000 0.000 0.235 (multiplicity 2)
2 Sn 0.500 0.500 0.500 (multiplicity 1)
3 Se 0.500 0.500 0.000 (multiplicity 1)

Results
DOS at the Fermi energy (states/eV per cell): 3.49



C) First-principles (PBE-GGA) data for a relaxed Th2SnSe crystal, as listed in Alexandria.

Cell lengths 4.4277, 4.4277, 20.9773 Å; angles 90.00, 90.00, 120.00 degrees
Space group R-3m (No. 166, hexagonal axes)
One atom of each set of equivalent atoms:
1 Th 0.0000 0.0000 0.2436 (multiplicity 6)
2 Sn 0.0000 0.0000 0.0000 (multiplicity 3)
3 Se 0.0000 0.0000 0.5000 (multiplicity 3)

Results
DOS at the Fermi energy (states/eV per cell): 7.12



C) takes first place; second place is 9.3 kJ/mol of atoms up.



A) First-principles (PBE-GGA) data for a relaxed ThSn2Se4 crystal, as listed in Alexandria.

Cell lengths 16.027, 4.299, 7.485 Å; angles 90.00, 116.69, 90.00 degrees
Space group C2/m (No. 12)
One atom of each set of equivalent atoms:
1 Th 0.000 0.000 0.000 (multiplicity 2)
2 Sn 0.231 0.500 0.748 (multiplicity 4)
- - -

Minister of National Security, Hon. Dr. Horace Chang, delivers Statement in the House of Representatives. (JIS Photo)
This was announced by Minister of National Security, Hon. Dr. Horace Chang, in a statement to the House of Representatives, on Tuesday (June 16).
The Minister was reporting on the unfortunate circumstances that resulted in the death of Mr. Chambers, an inmate at the Tower Street Adult Correctional Centre in Kingston.
Dr. Chang said the audit is expected to not only reveal the circumstances specific to his death but also to thoroughly examine the procedures involved in the treatment of inmates who are deemed unfit to plead.
Mr. Chambers was incarcerated in February 1980 on a charge of murder and was remanded by the courts to Tower Street Correctional Centre at the Governor General’s pleasure.
(Between two parts of the text: crystal structures)
+++
Er4TeAs3 PBE relaxed; space group = No. 47; density = 8.4 g/cm3; uncorrected formation energy = -1.474 eV/atom
1.0
-3.6232 -1.8520 0.6792
2.2322 -5.0760 -1.9335
2.4116 -1.8834 7.7287
Te Er As
1 4 3
Cartesian
0.0000 0.0000 0.0000 Te
1.1161 -2.5380 -0.9668 Er
-1.1574 -1.4370 2.4363 Er
-0.0543 -2.2985 5.9716 Er
2.3219 -3.4797 2.8976 Er
1.1150 -4.8781 5.1753 As
1.2058 -0.9417 3.8643 As
-0.0945 -3.9334 1.2990 As


RbCeBr6 PBE relaxed; space group = No. 166; density = 3.7 g/cm3; uncorrected formation energy = -1.339 eV/atom
1.0
-0.6659 3.9011 5.5840
2.9082 -5.3522 3.1208
5.8019 2.8423 -2.2589
Br Ce Rb
6 1 1
Cartesian
2.8171 -1.7341 2.5572 Br
3.9148 1.3747 0.5163 Br
6.5830 -0.3851 2.9542 Br
5.2271 3.1252 3.8887 Br
1.4612 1.7763 3.4917 Br
4.1293 0.0165 5.9296 Br
4.0221 0.6956 3.2229 Ce
0.0000 0.0000 0.0000 Rb


SmHoEr2Rh4 PBE relaxed; space group = No. 166; density = 11.0 g/cm3; energy of formation = -0.874 eV/atom
1.0
-0.9020 3.5576 -3.1547
-3.8031 -0.3120 -2.9767
-6.0901 4.7200 3.3518
Er Rh Ho Sm
2 4 1 1
Cartesian
-8.0819 5.9625 -2.1020 Er
-2.7133 2.0030 -0.6776 Er
-4.3775 3.3421 1.3082 Rh
-7.0733 5.3311 0.6098 Rh
-6.4177 4.6234 -4.0879 Rh
-3.7218 2.6345 -3.3894 Rh
-5.3976 3.9828 -1.3898 Ho
0.0000 0.0000 0.0000 Sm


Co2AgCl PBE relaxed; space group = No. 119; density = 7.2 g/cm3; uncorrected formation energy = 0.780 eV/atom
1.0
-1.8913 -4.2483 1.0158
2.3064 -3.2740 -2.5727
1.6455 3.4332 2.8570
Ag Cl Co
1 1 2
Cartesian
0.2075 -3.7611 -0.7785 Ag
-0.0191 -2.2881 1.5472 Cl
0.0000 0.0000 0.0000 Co
2.0797 -1.8010 -0.2471 Co


La3TeSe PBE relaxed; space group = No. 221; density = 5.8 g/cm3; uncorrected formation energy = -0.854 eV/atom
1.0
-3.8922 -4.0630 0.2458
3.5375 -3.2082 2.9852
-2.0136 2.2175 4.7692
Se La Te
1 3 1
Cartesian
0.0000 0.0000 0.0000 Se
1.7687 -1.6041 1.4926 La
-1.9461 -2.0315 0.1229 La
-1.0068 1.1087 2.3846 La
-1.1842 -2.5268 4.0001 Te


SmCo3B3 PBE relaxed; space group = No. 223; density = 7.1 g/cm3; energy of formation = -0.179 eV/atom
1.0
5.5118 0.0000 0.0000
0.0000 5.5118 0.0000
0.0000 0.0000 5.5118
Co B Sm
6 6 2
Cartesian
1.3779 2.7559 0.0000 Co
4.1338 2.7559 0.0000 Co
2.7559 0.0000 4.1338 Co
2.7559 0.0000 1.3779 Co
0.0000 1.3779 2.7559 Co
0.0000 4.1338 2.7559 Co
1.3779 0.0000 2.7559 B
0.0000 2.7559 4.1338 B
2.7559 1.3779 0.0000 B
0.0000 2.7559 1.3779 B
2.7559 4.1338 0.0000 B
4.1338 0.0000 2.7559 B
0.0000 0.0000 0.0000 Sm
2.7559 2.7559 2.7559 Sm


FeRe4 PBE relaxed; space group = No. 87; density = 18.5 g/cm3; energy of formation = 0.082 eV/atom
1.0
3.8770 0.0000 0.0000
1.9385 4.3077 0.0000
-1.9385 0.0000 4.3077
Re Fe
4 1
Cartesian
1.9385 1.6887 0.8499 Re
3.8770 3.4578 1.6887 Re
1.9385 2.6190 3.4578 Re
0.0000 0.8499 2.6190 Re
0.0000 0.0000 0.0000 Fe


MgZrNiIr PBE relaxed; space group = No. 216; density = 9.4 g/cm3; energy of formation = -0.556 eV/atom
1.0
-2.2308 3.7386 -1.1628
-4.5055 0.0467 0.0621
-2.1855 2.3869 3.1356
Zr Ni Mg Ir
1 1 1 1
Cartesian
-4.4609 3.0861 1.0175 Zr
-2.2304 1.5431 0.5087 Ni
0.0000 0.0000 0.0000 Mg
+++
Dr. Chang said that the Department of Correctional Services (DCS) reported that in October 1986, Mr. Chambers made an application to petition the Governor General for reprieve.
He added that in order for him to be released from custody, he had to be returned to Court, prior to his application being sent to the Governor General for a decision.
The Minister said in December 2000, the family of Mr. Chambers requested that he be released on parole.
“Given that he was being held at the GG’s Pleasure, he was not eligible for parole. The lawyers have advised me that parole and reprieve can only be granted to persons convicted and sentenced. The fact that Mr. Chambers was neither convicted nor sentenced nullified this option,” Dr. Chang said.
He noted that in 2004, the DCS, in collaboration with the Independent Jamaican Council for Human Rights (IJCHR), embarked on a one-year project that involved assigning a special team to search for relatives of unfit to plead inmates and return them to the courts. Mr. Chambers was included in this project.
“A search for the relatives of Mr. Chambers was undertaken by the DCS, with no success. On several previous occasions, Mr. Chambers was deemed fit to plead. Following a psychiatric assessment in 2016, he was once again certified as being fit to plead, which resulted in him being included on a listing to the courts in 2017,” Dr. Chang said.
In August 2019, it was reported that Mr. Chambers stopped eating and presented confused, whereupon he was diagnosed with dementia, having undergone medical examinations, including a CT brain scan.
Between August and December 2019, he was visited and treated on some six separate occasions by medical officers. Additionally, during this period he was referred, admitted and discharged from the Kingston Public Hospital.
“Unfortunately, these series of events culminated in the death of Mr. Chambers. He was found unresponsive in the hospital dorm at Tower Street, in January of 2020. The post-mortem revealed that he died from natural causes, due to acute pyelonephritis (acute kidney infection),” Dr. Chang stated.
Meanwhile, Dr. Chang said the need to construct a modern correctional facility has been a matter of concern for the Government, which is why the Ministry of National Security is currently reviewing proposals for the design of a modern purpose-built facility.
“Jamaica’s penal system is suffering from decades of abject neglect. That, of course, is no excuse for allowing any person to languish within a correctional facility. We will examine and make adjustments as necessary,” the Minister said.
“This Administration is committed to doing what is required to ensure that justice is served while safeguarding the rights, dignity, and general sense of humanity of Jamaicans within correctional facilities,” he added.
Dr. Chang informed that for the short term, a plan of action has been elaborated, in collaboration with the Ministries of Health and Wellness, Justice, and Local Government.
He said that in the immediate term, the DCS has identified persons who have been in their custody for more than 30 years and are being held at the Court’s pleasure or Governor General’s pleasure.
“Following internal psychiatric assessment and the determination as low-risk violence producers, these individuals have been identified in a letter to the Chief Justice seeking the Court’s consideration of granting clemency,” Dr. Chang said.
He noted that simultaneously, consultations are ongoing with the Jamaica Psychiatric Association to acquire the professional competence of five psychiatrists, to facilitate the timely assessment of all persons identified as having mental health conditions.
“The building of a forensic psychiatric facility is the ideal long-term solution. The Ministry of National Security will be engaging the Ministry of Health and Wellness in an attempt to ensure the mental health needs of these persons, while fulfilling our responsibility to national security,” Dr. Chang said.